Work order >
Your job: duplicate the data below verbatim.

Data >
<<<
Here is C6H11NS in the gas phase at a distorted geometry from the OMol25 dataset. Energies are from ωB97M-V with the def2-TZVPD basis set.

```
19
Properties=species:S:1:pos:R:3:mulliken_charge:R:1
S -2.9928 -1.3486 -0.0906 -0.20
N -0.4747 1.5170 -0.7818 -0.66
C 1.2992 -0.4284 -0.6672 -0.73
C -2.6542 0.2209 -0.3785 -0.48
C 2.2778 -1.3858 0.1011 -0.98
C -0.4908 0.3750 1.2769 -0.53
C -1.6031 0.9715 0.3423 0.15
C 0.5774 0.7664 0.0599 -0.13
H 0.5931 -1.0049 -1.1405 0.39
H 1.9214 -1.6070 1.1454 0.29
H -0.7917 -0.7263 1.6923 0.30
H 2.2424 -2.5242 -0.4793 0.23
H -2.1408 1.9286 0.6358 0.27
H -3.3984 0.8392 -1.0285 0.29
H 1.8581 -0.1250 -1.5442 0.41
H -0.3917 1.3016 1.9741 0.27
H 1.2741 1.3333 0.4895 0.54
H -0.5995 1.1268 -1.6635 0.29
H 3.4943 -1.2298 0.0570 0.27
```

Output
HOMO level, eV: -8.83
LUMO energy, eV: -0.432

=====

Here is C6H11NS as an isolated structure at a distorted geometry from the OMol25 dataset. Energies are from ωB97M-V with the def2-TZVPD basis set.

```
19
Properties=species:S:1:pos:R:3:mulliken_charge:R:1
S -1.5474 1.2250 -0.8562 -0.17
N -1.1108 -1.4513 0.1122 -0.72
C 0.3630 1.5844 2.6568 -0.58
C 1.3247 -1.3958 -0.9379 -1.10
C -0.0544 -0.5528 -0.6239 0.51
C -0.0377 0.7791 0.1141 -0.40
C -0.4913 0.2654 -1.9562 -0.66
C -0.2459 0.7868 1.7036 -0.25
H 0.6845 1.4758 -0.1344 0.59
H -2.0288 -1.1465 -0.1050 0.29
H -1.2247 -2.3640 -0.4559 0.28
H 1.8393 -0.4396 -1.3629 0.26
H 1.3824 -2.2473 -1.5288 0.42
H 1.3229 2.2002 2.4421 0.23
H 1.9260 -1.2193 0.0239 0.31
H -1.2808 0.3550 2.1524 0.15
H -1.1469 -0.3888 -2.6730 0.36
H 0.4731 0.9149 -2.3129 0.29
H -0.1473 1.6187 3.7422 0.20
```

Output
HOMO level, eV: -8.67
LUMO energy, eV: 0.799

=====

Here is C6H11NS as an isolated structure at a distorted geometry from the OMol25 dataset. Energies are from ωB97M-V with the def2-TZVPD basis set.

```
19
Properties=species:S:1:pos:R:3:mulliken_charge:R:1
S 2.7257 -0.0730 0.0590 -0.25
N 0.0321 2.0587 0.4487 -0.70
C 0.1066 -0.7607 1.3244 -0.65
C 0.8062 -0.2828 0.0061 -0.07
C -0.0731 0.9318 -0.4666 0.16
C -1.4578 0.2561 -0.3217 -1.04
C -0.9774 -1.1034 0.2878 -0.14
C 0.0930 -1.4933 -0.6321 -0.76
H 2.9060 0.5085 -1.1888 0.13
H -0.6975 2.8030 0.3289 0.22
H -1.9512 0.1029 -1.3579 0.24
H -1.7978 -1.8026 0.5905 0.43
H 0.5320 -1.7071 1.6837 0.35
H -0.0478 -1.5597 -1.6936 0.31
H 0.9996 2.4311 0.2277 0.27
H -0.0157 0.0324 2.1378 0.27
H 0.7137 -2.3606 -0.3913 0.30
H 0.2023 1.2460 -1.4450 0.49
H -2.0988 0.7728 0.4023 0.44
```

Output
HOMO level, eV: -9.03
LUMO energy, eV: 0.837

=====

Here is C6H11NS in the gas phase at a distorted geometry from the OMol25 dataset. Energies are from ωB97M-V with the def2-TZVPD basis set.

```
19
Properties=species:S:1:pos:R:3:mulliken_charge:R:1
S 2.0653 -0.4466 -0.5247 -0.25
N -0.1220 -1.3934 1.0884 -0.51
C -2.3908 -0.4011 -1.1412 -0.62
C -0.0872 1.0964 1.2047 -1.00
C -0.5879 -0.1508 0.4396 0.96
C 0.2795 1.7458 -0.1310 -0.68
C 0.4388 0.3285 -0.7472 -0.19
C -1.9958 -0.1157 0.0863 -1.00
H 1.9443 -0.7488 0.8785 0.15
H -0.0502 -1.4571 2.1652 0.23
H 0.0314 0.1732 -1.7144 0.41
H -0.6017 -2.2075 0.8494 0.22
H 0.6942 0.8755 1.8832 0.32
H -0.4995 2.2682 -0.5773 0.32
H -2.6855 0.2023 0.8041 0.43
H -3.4827 -0.2059 -1.3568 0.26
H -0.8147 1.7252 1.7267 0.32
H -1.8257 -1.0145 -2.0105 0.23
H 1.1591 2.2706 -0.1395 0.39
```

Output
HOMO level, eV: -8.43
LUMO energy, eV: 0.920

=====

Here is an isolated ion of composition C6H11O and charge -1 at a distorted geometry from the OMol25 dataset. Energies are from ωB97M-V with the def2-TZVPD basis set.

```
18
Properties=species:S:1:pos:R:3:mulliken_charge:R:1
O -3.1650 1.4419 -1.1224 -0.79
C 0.3085 1.2305 0.1578 -0.58
C 1.1235 -1.0242 0.7666 0.03
C 0.8627 -0.1249 -0.2189 -0.37
C -1.9282 1.1031 -1.0190 -0.41
C 1.4722 -2.5306 0.4854 -1.17
C -1.1489 1.5345 0.1520 -0.16
H 0.7126 1.7539 1.1151 0.29
H 1.0290 -2.9279 -0.3376 0.37
H 1.4004 -0.6193 1.8417 0.21
H -1.2335 1.3050 -2.0118 0.05
H 0.5620 -0.3545 -1.2258 0.31
H 1.2875 -3.3027 1.3421 0.26
H -1.7973 -0.1114 -1.0808 0.00
>>>

Outcome >
Here is C6H11NS in the gas phase at a distorted geometry from the OMol25 dataset. Energies are from ωB97M-V with the def2-TZVPD basis set.

```
19
Properties=species:S:1:pos:R:3:mulliken_charge:R:1
S -2.9928 -1.3486 -0.0906 -0.20
N -0.4747 1.5170 -0.7818 -0.66
C 1.2992 -0.4284 -0.6672 -0.73
C -2.6542 0.2209 -0.3785 -0.48
C 2.2778 -1.3858 0.1011 -0.98
C -0.4908 0.3750 1.2769 -0.53
C -1.6031 0.9715 0.3423 0.15
C 0.5774 0.7664 0.0599 -0.13
H 0.5931 -1.0049 -1.1405 0.39
H 1.9214 -1.6070 1.1454 0.29
H -0.7917 -0.7263 1.6923 0.30
H 2.2424 -2.5242 -0.4793 0.23
H -2.1408 1.9286 0.6358 0.27
H -3.3984 0.8392 -1.0285 0.29
H 1.8581 -0.1250 -1.5442 0.41
H -0.3917 1.3016 1.9741 0.27
H 1.2741 1.3333 0.4895 0.54
H -0.5995 1.1268 -1.6635 0.29
H 3.4943 -1.2298 0.0570 0.27
```

Output
HOMO level, eV: -8.83
LUMO energy, eV: -0.432

=====

Here is C6H11NS as an isolated structure at a distorted geometry from the OMol25 dataset. Energies are from ωB97M-V with the def2-TZVPD basis set.

```
19
Properties=species:S:1:pos:R:3:mulliken_charge:R:1
S -1.5474 1.2250 -0.8562 -0.17
N -1.1108 -1.4513 0.1122 -0.72
C 0.3630 1.5844 2.6568 -0.58
C 1.3247 -1.3958 -0.9379 -1.10
C -0.0544 -0.5528 -0.6239 0.51
C -0.0377 0.7791 0.1141 -0.40
C -0.4913 0.2654 -1.9562 -0.66
C -0.2459 0.7868 1.7036 -0.25
H 0.6845 1.4758 -0.1344 0.59
H -2.0288 -1.1465 -0.1050 0.29
H -1.2247 -2.3640 -0.4559 0.28
H 1.8393 -0.4396 -1.3629 0.26
H 1.3824 -2.2473 -1.5288 0.42
H 1.3229 2.2002 2.4421 0.23
H 1.9260 -1.2193 0.0239 0.31
H -1.2808 0.3550 2.1524 0.15
H -1.1469 -0.3888 -2.6730 0.36
H 0.4731 0.9149 -2.3129 0.29
H -0.1473 1.6187 3.7422 0.20
```

Output
HOMO level, eV: -8.67
LUMO energy, eV: 0.799

=====

Here is C6H11NS as an isolated structure at a distorted geometry from the OMol25 dataset. Energies are from ωB97M-V with the def2-TZVPD basis set.

```
19
Properties=species:S:1:pos:R:3:mulliken_charge:R:1
S 2.7257 -0.0730 0.0590 -0.25
N 0.0321 2.0587 0.4487 -0.70
C 0.1066 -0.7607 1.3244 -0.65
C 0.8062 -0.2828 0.0061 -0.07
C -0.0731 0.9318 -0.4666 0.16
C -1.4578 0.2561 -0.3217 -1.04
C -0.9774 -1.1034 0.2878 -0.14
C 0.0930 -1.4933 -0.6321 -0.76
H 2.9060 0.5085 -1.1888 0.13
H -0.6975 2.8030 0.3289 0.22
H -1.9512 0.1029 -1.3579 0.24
H -1.7978 -1.8026 0.5905 0.43
H 0.5320 -1.7071 1.6837 0.35
H -0.0478 -1.5597 -1.6936 0.31
H 0.9996 2.4311 0.2277 0.27
H -0.0157 0.0324 2.1378 0.27
H 0.7137 -2.3606 -0.3913 0.30
H 0.2023 1.2460 -1.4450 0.49
H -2.0988 0.7728 0.4023 0.44
```

Output
HOMO level, eV: -9.03
LUMO energy, eV: 0.837

=====

Here is C6H11NS in the gas phase at a distorted geometry from the OMol25 dataset. Energies are from ωB97M-V with the def2-TZVPD basis set.

```
19
Properties=species:S:1:pos:R:3:mulliken_charge:R:1
S 2.0653 -0.4466 -0.5247 -0.25
N -0.1220 -1.3934 1.0884 -0.51
C -2.3908 -0.4011 -1.1412 -0.62
C -0.0872 1.0964 1.2047 -1.00
C -0.5879 -0.1508 0.4396 0.96
C 0.2795 1.7458 -0.1310 -0.68
C 0.4388 0.3285 -0.7472 -0.19
C -1.9958 -0.1157 0.0863 -1.00
H 1.9443 -0.7488 0.8785 0.15
H -0.0502 -1.4571 2.1652 0.23
H 0.0314 0.1732 -1.7144 0.41
H -0.6017 -2.2075 0.8494 0.22
H 0.6942 0.8755 1.8832 0.32
H -0.4995 2.2682 -0.5773 0.32
H -2.6855 0.2023 0.8041 0.43
H -3.4827 -0.2059 -1.3568 0.26
H -0.8147 1.7252 1.7267 0.32
H -1.8257 -1.0145 -2.0105 0.23
H 1.1591 2.2706 -0.1395 0.39
```

Output
HOMO level, eV: -8.43
LUMO energy, eV: 0.920

=====

Here is an isolated ion of composition C6H11O and charge -1 at a distorted geometry from the OMol25 dataset. Energies are from ωB97M-V with the def2-TZVPD basis set.

```
18
Properties=species:S:1:pos:R:3:mulliken_charge:R:1
O -3.1650 1.4419 -1.1224 -0.79
C 0.3085 1.2305 0.1578 -0.58
C 1.1235 -1.0242 0.7666 0.03
C 0.8627 -0.1249 -0.2189 -0.37
C -1.9282 1.1031 -1.0190 -0.41
C 1.4722 -2.5306 0.4854 -1.17
C -1.1489 1.5345 0.1520 -0.16
H 0.7126 1.7539 1.1151 0.29
H 1.0290 -2.9279 -0.3376 0.37
H 1.4004 -0.6193 1.8417 0.21
H -1.2335 1.3050 -2.0118 0.05
H 0.5620 -0.3545 -1.2258 0.31
H 1.2875 -3.3027 1.3421 0.26
H -1.7973 -0.1114 -1.0808 0.00